Gip Gip Chan only started playing percussion in Form Four. But today, his skills on the skins have made him the toast of Italy
By Wong Yat-hei October 27, 2014
📷Gip Gip Chan dazzled the judges in Italy.
When Gip Gip Chan Wing-yip started hitting drums in secondary school, he had a dream: to be a percussion teacher.
But he soon found out that he could do much more than that. “At that time I had no idea what I wanted to do. My plan was to get my Level Eight in percussion and then make a living as a music teacher,” says Chan. “I never thought of going to university, but after gaining my Level Eight, I realised that there is so much more to learn, so I set my goal of becoming a professional musician.”
He now studies at Hong Kong Baptist University (HKBU), where he majors in percussion – a skill has a different set of challenges than other music courses. “The crazy thing about percussion is that you have to master more than one instrument. Timpani, xylophone – even the triangle – a percussionist needs to be able to play them all,” he says.
“The learning curve is endless, there are so many techniques for each instrument and this is why I find percussion so fascinating.”
But the studies are paying off. In September, Chan won first prize at the Italy Percussion Competition, organised by the Italy Percussive Arts Society (IPAS). He made it look easy, but it was difficult to even get there: Chan had to pay all of his own costs.
Another problem was that since percussion pieces are not popular in Hong Kong, all of his sheet music had to be ordered from overseas. One piece arrived only 10 days before Chan went to Italy – not leaving him a lot of time to practise. The other piece never arrived, but here Chan got a bit of help: “Luckily the president of the IPAS was kind enough to send it to me,” he says.
Watch Chan perform snippets from Symplegades, the piece which won him first prize at the competition
Once in Italy, Chan discovered something unique about the Italy Percussion Competition: if the judges feel that no performer has done well enough to deserve first prize, then no first prize is given out. This means that participants are not really competing against one another, which forced Chan to look inside himself for inspiration.
“I was trying too hard to show that I can outperform the drummer before me,” he says. “After the first two rounds, a judge told me that I have to do my best and not care too much about what others are doing. Those words were golden. I was able to give my best when I was not thinking about the others.”
Here the piece breaks off for calculated molecules =
- - -
(1)
41
Properties=species:S:1:pos:R:3:mulliken_charge:R:1 method="wB97M-V/def2-TZVPD" spin_multiplicity=1 lumo_ha=-0.0088 e_tot_ev=-31931.406 largest_force_ha_per_bohr=0.099 gap_ev=8.68 smiles="COCc1cccc(CNC(=O)c2nc(N)nc(-c3ccco3)n2)n1" relative_energy_kj_mol=50.5
C -5.41 -0.40 2.62 -0.774
O -5.11 0.81 1.80 -0.345
C -3.74 0.97 1.45 -0.323
C -3.52 1.59 0.12 0.328
C -4.53 2.42 -0.42 -0.780
C -4.35 2.93 -1.69 -0.532
C -3.16 2.55 -2.37 -0.459
C -2.21 1.65 -1.74 0.601
C -0.92 1.13 -2.53 -0.716
N -0.18 -0.02 -1.85 -0.155
C 1.20 -0.26 -1.97 0.363
O 1.71 0.24 -2.95 -0.603
C 1.89 -1.16 -0.99 0.636
N 1.12 -1.99 -0.22 -0.711
C 1.79 -2.49 0.78 0.652
N 1.34 -3.51 1.43 -0.428
N 3.00 -2.24 1.15 -0.601
C 3.69 -1.47 0.33 0.464
C 5.11 -0.98 0.64 0.272
C 5.95 -0.42 -0.25 -0.308
C 7.21 -0.11 0.47 -0.301
C 6.98 -0.77 1.68 -0.543
O 5.74 -1.39 1.71 -0.324
N 3.11 -0.91 -0.68 -0.436
N -2.38 1.24 -0.46 -0.350
H -5.28 -1.28 1.96 0.316
H -6.43 -0.39 2.93 0.265
H -4.85 -0.44 3.49 0.329
H -3.30 1.60 2.29 0.179
H -3.33 -0.05 1.36 0.381
H -5.29 2.54 0.21 0.687
H -5.07 3.63 -2.12 0.380
H -2.83 3.03 -3.41 0.226
H -1.33 0.81 -3.56 0.226
H -0.29 2.06 -2.75 0.294
H -0.48 -0.28 -0.96 0.385
H 0.74 -4.11 1.02 0.205
H 2.02 -3.95 2.05 0.263
H 5.79 -0.45 -1.27 0.474
H 8.03 0.52 0.08 0.394
H 7.58 -0.64 2.60 0.369

(2)
13
Properties=species:S:1:pos:R:3:mulliken_charge:R:1 method="wB97M-V/def2-TZVPD" spin_multiplicity=1 lumo_ha="0.1318 / 0.1318" e_tot_ev=-23241.700 largest_force_ha_per_bohr=0.110 gap_ev="8.23 / 8.23" total_charge=-1 relative_energy_kj_mol=242.8
C -2.48 -0.18 0.36 -0.836
C -2.17 0.56 -0.94 -0.279
C 0.17 -0.53 0.98 -0.787
C -1.18 -0.26 0.63 1.066
C -0.89 0.65 -0.60 -0.411
C 0.82 0.18 0.00 0.265
O 2.86 -0.72 0.87 -0.698
O 2.78 -0.19 -1.62 -0.672
O 2.89 1.61 0.11 -0.644
S 2.51 0.28 -0.22 1.153
H -3.44 -0.76 0.69 0.239
H -2.52 0.65 -1.99 0.322
H 0.65 -1.29 1.72 0.281

(3)
133
Properties=species:S:1:pos:R:3:mulliken_charge:R:1 method="wB97M-V/def2-TZVPD" spin_multiplicity=3 lumo_ha="-0.4093 / -0.4781" e_tot_ev=-163336.779 largest_force_ha_per_bohr=0.088 gap_ev="5.49 / 3.63" total_charge=+4
W -0.66 0.19 -0.44 2.456
C 1.75 4.62 5.48 -1.723
C 2.35 3.22 5.54 0.376
C 3.85 3.32 5.79 -1.011
C 4.49 1.94 5.77 -1.242
C 4.20 1.28 4.46 1.036
C 5.09 0.38 3.91 -0.594
C 4.82 -0.24 2.69 -0.539
F 5.69 -1.10 2.19 -0.368
C 3.67 0.03 2.00 -0.338
C 2.73 0.92 2.53 1.226
C 1.48 1.14 1.86 -0.238
O 1.21 0.56 0.72 -0.502
C 0.55 1.98 2.51 0.078
C 0.90 2.61 3.70 -0.655
N 2.07 2.46 4.29 0.307
C 2.99 1.57 3.77 -0.532
C -0.83 2.12 1.96 -0.539
O -1.76 2.54 2.59 -0.675
O -0.94 1.70 0.70 0.035
H 2.12 5.19 6.33 0.450
H 0.67 4.63 5.55 0.522
H 2.06 5.13 4.57 0.397
H 1.89 2.65 6.36 0.155
H 4.01 3.79 6.76 0.443
H 4.32 3.95 5.03 0.331
H 4.10 1.33 6.59 0.343
H 5.57 2.01 5.91 0.494
H 6.01 0.16 4.43 0.588
H 3.47 -0.47 1.06 0.637
H 0.16 3.25 4.15 0.692
S 5.66 1.24 -3.92 -0.146
C 6.75 2.07 -2.93 -0.383
C 6.23 2.37 -1.69 -0.827
C 4.92 1.91 -1.53 -0.184
C 4.45 1.25 -2.66 0.180
C 3.19 0.58 -2.83 0.753
C 2.17 0.73 -1.89 -0.948
- - -
Chan’s attention to detail also helped. Before the competition the judges reminded everyone that they will be performing in a small room – which meant there would be a strong echo.
“The choice of mallets suddenly became a key factor. If I chose a pair that was too hard, it would be too loud; if they were too soft, the sound wouldn’t be clear enough,” Chan worried. “I talked to my two music teachers from HKBU a lot and they provided many tips on the choice of mallets. I guess the extra effort I put into choosing the right mallet helped me stand out.”
While he hopes to join a professional orchestra someday, Chan first plans to go to the US to continue studying. Many parents are reluctant to let their children study music, because it doesn’t seem like a stable career, but Chan thinks this is a misconception.
“According to figures from HKBU, music graduates rank among the highest in hourly income. It is not easy to be a professional musician but it is certainly possible to make a living working as a music teacher.”
Yat-hei Wong This article appeared in the Young Post print edition as Drumming up success SHARETWEETFLIPBOARDEMAIL Tag: Gip Gip Chan, drum, percussion, Music, timpani, xylophone, triangle, percussionist, Italy, Hong Kong, Italy Percussion Competition, Italy Percussive Arts Society, IPAS, Hong Kong Baptist University, HKBU, mallet, orchestra, Wong Yat-hei
